Excerpt:
- - -
Computed, not measured: one molecule with the formula C19H21N3O5S2 in a non-equilibrium geometry, with wB97M-V/def2-TZVPD.

SMILES   Cc1noc(C)c1S(=O)(=O)NCc1ccc(-c2cccc(NS(C)(=O)=O)c2)cc1
HOMO energy   -8.7 eV
Frontier orbital gap   9.0 eV
LUMO   0.24 eV
Energy relative to the best compared isomer or geometry (same formula, charge and spin)   35.3 kcal per mole

Each line ends with the natural charge from an NBO analysis.
Cartesian coordinates (Å):
O -0.5546 -1.5308 5.3216  -0.94
O 1.2401 -2.3089 3.9039  -0.92
O -1.2814 5.0772 -3.6813  -0.93
O -2.2012 3.3093 -2.2901  -0.92
N 0.5409 1.7325 2.0883  -0.12
O -0.8679 1.7954 2.3097  -0.29
C 0.9485 0.5993 2.5821  0.20
C -1.2477 0.6618 2.9541  0.43
C -0.1554 -0.0985 3.0987  -0.50
C 1.7880 -0.2457 -4.5900  -0.18
C -0.9975 -1.2762 -0.8105  -0.21
C 1.2702 -2.0057 -0.5700  -0.16
C 1.5675 -0.9243 -3.3880  -0.24
C 1.0992 0.9640 -4.8265  -0.25
C 0.0642 0.8117 -2.6886  -0.28
C -1.3360 -2.0294 0.2980  -0.15
C 0.9441 -2.7129 0.5872  -0.21
C 0.3441 -1.2100 -1.2493  -0.08
C 0.6891 -0.3799 -2.4259  0.05
C 0.2588 1.5187 -3.8857  0.15
C -0.3854 -2.7376 1.0090  -0.07
N -1.2780 -2.6281 3.2398  -0.84
N -0.3286 2.7621 -4.1253  -0.85
C 2.3575 0.1271 2.4984  -0.65
C -2.6833 0.4736 3.4184  -0.68
C -0.8258 -3.5230 2.1979  -0.26
C 0.3221 4.1334 -1.7976  -0.87
S -0.0820 -1.6575 3.9415  2.26
S -0.9956 3.8399 -2.9609  2.24
H 2.4663 -0.6635 -5.2947  0.22
H -1.7576 -0.6975 -1.3417  0.22
H 2.2705 -2.0432 -0.9048  0.20
H 2.0844 -1.8722 -3.2058  0.22
H 1.2860 1.4869 -5.7736  0.21
H -0.6105 1.2423 -1.9445  0.23
H -2.3985 -2.0565 0.5969  0.21
H 1.6592 -3.2729 1.1516  0.23
H -1.6665 -3.1667 4.0105  0.41
H -0.5575 2.9735 -5.1027  0.43
H 3.0248 0.8532 2.0604  0.24
H 2.8055 -0.0095 3.5087  0.25
H 2.3819 -0.7994 1.9316  0.25
H -2.8530 -0.5237 3.8532  0.26
H -3.0393 1.3090 4.0560  0.25
H -3.3035 0.4922 2.5070  0.24
H -1.6478 -4.2160 1.8643  0.22
H -0.0180 -4.1635 2.5629  0.21
H -0.1570 4.5949 -0.9186  0.27
H 0.7740 3.1995 -1.4973  0.26
H 1.0429 4.7957 -2.2781  0.26
- - -
Brief:
Your job: write out the contents further up exactly.
Reply:
Computed, not measured: one molecule with the formula C19H21N3O5S2 in a non-equilibrium geometry, with wB97M-V/def2-TZVPD.

SMILES   Cc1noc(C)c1S(=O)(=O)NCc1ccc(-c2cccc(NS(C)(=O)=O)c2)cc1
HOMO energy   -8.7 eV
Frontier orbital gap   9.0 eV
LUMO   0.24 eV
Energy relative to the best compared isomer or geometry (same formula, charge and spin)   35.3 kcal per mole

Each line ends with the natural charge from an NBO analysis.
Cartesian coordinates (Å):
O -0.5546 -1.5308 5.3216  -0.94
O 1.2401 -2.3089 3.9039  -0.92
O -1.2814 5.0772 -3.6813  -0.93
O -2.2012 3.3093 -2.2901  -0.92
N 0.5409 1.7325 2.0883  -0.12
O -0.8679 1.7954 2.3097  -0.29
C 0.9485 0.5993 2.5821  0.20
C -1.2477 0.6618 2.9541  0.43
C -0.1554 -0.0985 3.0987  -0.50
C 1.7880 -0.2457 -4.5900  -0.18
C -0.9975 -1.2762 -0.8105  -0.21
C 1.2702 -2.0057 -0.5700  -0.16
C 1.5675 -0.9243 -3.3880  -0.24
C 1.0992 0.9640 -4.8265  -0.25
C 0.0642 0.8117 -2.6886  -0.28
C -1.3360 -2.0294 0.2980  -0.15
C 0.9441 -2.7129 0.5872  -0.21
C 0.3441 -1.2100 -1.2493  -0.08
C 0.6891 -0.3799 -2.4259  0.05
C 0.2588 1.5187 -3.8857  0.15
C -0.3854 -2.7376 1.0090  -0.07
N -1.2780 -2.6281 3.2398  -0.84
N -0.3286 2.7621 -4.1253  -0.85
C 2.3575 0.1271 2.4984  -0.65
C -2.6833 0.4736 3.4184  -0.68
C -0.8258 -3.5230 2.1979  -0.26
C 0.3221 4.1334 -1.7976  -0.87
S -0.0820 -1.6575 3.9415  2.26
S -0.9956 3.8399 -2.9609  2.24
H 2.4663 -0.6635 -5.2947  0.22
H -1.7576 -0.6975 -1.3417  0.22
H 2.2705 -2.0432 -0.9048  0.20
H 2.0844 -1.8722 -3.2058  0.22
H 1.2860 1.4869 -5.7736  0.21
H -0.6105 1.2423 -1.9445  0.23
H -2.3985 -2.0565 0.5969  0.21
H 1.6592 -3.2729 1.1516  0.23
H -1.6665 -3.1667 4.0105  0.41
H -0.5575 2.9735 -5.1027  0.43
H 3.0248 0.8532 2.0604  0.24
H 2.8055 -0.0095 3.5087  0.25
H 2.3819 -0.7994 1.9316  0.25
H -2.8530 -0.5237 3.8532  0.26
H -3.0393 1.3090 4.0560  0.25
H -3.3035 0.4922 2.5070  0.24
H -1.6478 -4.2160 1.8643  0.22
H -0.0180 -4.1635 2.5629  0.21
H -0.1570 4.5949 -0.9186  0.27
H 0.7740 3.1995 -1.4973  0.26
H 1.0429 4.7957 -2.2781  0.26